Job =
Now filter the entries underneath: keep the lines with the word "CuKα".

Given =
-- begin --
Starting from a cell relaxed with GGA-PBE, the powder diffractogram of BeCuSb was simulated for copper Kα.
Neutral-atom scattering factors, no anomalous dispersion.

Top 10 peaks for 2θ = 10–80°, in order of rising 2θ:
Position (°2θ), I/Imax, index
11.6, 81, 0 0 1
23.3, 72, 0 0 2
28.5, 100, 0 1 -1
28.7, 86, 1 1 1
28.9, 83, 1 0 -1
29.6, 64, 0 1 2
42.9, 66, 1 1 3
43.4, 84, 1 0 -3
43.9, 57, 1 2 0
47.2, 56, 0 1 -3

Structural model:
Cell: 3.6152 4.2575 7.7944 Å, 78.72 89.29 64.92°
Space group P1 (No. 1)
Inequivalent atoms, fractional coordinates:
Be  0.0000  0.0000  0.0000 (multiplicity 1)
Be  0.3069  0.3816  0.0986 (multiplicity 1)
Cu  0.3696  0.2733  0.8126 (multiplicity 1)
Cu  0.6946  0.6174  0.9205 (multiplicity 1)
Sb  0.0347  0.9519  0.6553 (multiplicity 1)
Sb  0.6264  0.7331  0.2474 (multiplicity 1)

---

Starting from a cell relaxed with GGA-PBE, the powder diffractogram of Pr2Tm5Pb4 was simulated for copper Kα.
Neutral-atom scattering factors, no anomalous dispersion.

Top 10 peaks for 2θ = 10–80°, in order of rising 2θ:
Position (°2θ), I/Imax, index
29.3, 100, 8 0 1
29.6, 91, 3 1 -1
30.8, 55, 6 0 -2
35.4, 33, 1 1 -2
35.5, 39, 1 1 2
36.1, 32, 7 1 -1
36.7, 30, 7 1 1
39.5, 33, 5 1 2
40.8, 26, 9 1 -1
60.5, 26, 8 2 1

Structural model:
Cell: 27.2955 3.5375 7.3176 Å, 90.00 92.09 90.00°
Space group C2/m (No. 12)
Inequivalent atoms, fractional coordinates:
Pr  0.0898  0.0000  0.2764 (multiplicity 4)
Tm  0.0000  0.5000  0.0000 (multiplicity 2)
Tm  0.1469  0.0000  0.8257 (multiplicity 4)
Tm  0.2376  0.0000  0.2004 (multiplicity 4)
Pb  0.0367  0.0000  0.6783 (multiplicity 4)
Pb  0.1781  0.5000  0.4882 (multiplicity 4)

----------

The following is a simulated PXRD pattern of Rb4B9Se9. It was derived from a PBE-relaxed structure, using CuKα.
Lines closer than 0.1° are merged.

Structure:
Cell: 10.6063 10.7685 11.1427 Å, 91.85 104.15 109.59°
Fractional coordinates of all 44 atoms:
Rb  0.1112  0.3715  0.1309
Rb  0.1413  0.0035  0.3689
Rb  0.2517  0.6293  0.4739
Rb  0.3292  0.3842  0.7453
Rb  0.6708  0.6158  0.2547
Rb  0.7483  0.3707  0.5261
Rb  0.8587  0.9965  0.6311
Rb  0.8888  0.6285  0.8691
B  0.1372  0.8207  0.6871
B  0.1677  0.7610  0.1433
B  0.3390  0.9674  0.0180
B  0.3741  0.8625  0.9148
B  0.3798  0.0236  0.8786
B  0.4229  0.2555  0.2567
B  0.4405  0.8698  0.0794
B  0.4528  0.1338  0.0223
B  0.4901  0.0378  0.1443
B  0.5099  0.9622  0.8557
B  0.5472  0.8662  0.9777
B  0.5595  0.1302  0.9206
B  0.5771  0.7445  0.7433
B  0.6202  0.9764  0.1214
B  0.6259  0.1375  0.0852
B  0.6610  0.0326  0.9820
B  0.8323  0.2390  0.8567
B  0.8628  0.1793  0.3129
Se  0.0185  0.6510  0.2041
Se  0.0206  0.2590  0.4543
Se  0.1515  0.9126  0.0520
Se  0.2181  0.7114  0.7996
Se  0.2257  0.0184  0.7276
Se  0.3441  0.7238  0.1699
Se  0.3982  0.3718  0.3750
Se  0.4053  0.2887  0.0785
Se  0.4735  0.1002  0.3097
Se  0.5265  0.8998  0.6903
Se  0.5947  0.7113  0.9215
Se  0.6018  0.6282  0.6250
Se  0.6559  0.2762  0.8301
Se  0.7743  0.9816  0.2724
Se  0.7819  0.2886  0.2004
Se  0.8485  0.0874  0.9480
Se  0.9794  0.7410  0.5457
Se  0.9815  0.3490  0.7959

Top 12 peaks for 10 to 80 degrees two-theta, most intense first:
- hkl 1 0 3, 3.083 Å, 2θ 28.96, intensity 100
- hkl 0 3 0, 3.355 Å, 2θ 26.57, intensity 52
- hkl 3 -2 0, 3.281 Å, 2θ 27.18, intensity 48
- hkl 0 2 3, 2.755 Å, 2θ 32.50, intensity 43
- hkl 0 1 -3, 3.509 Å, 2θ 25.39, intensity 40
- hkl 2 1 -3, 3.050 Å, 2θ 29.28, intensity 36
- hkl 3 1 0, 2.783 Å, 2θ 32.16, intensity 36
- hkl -1 3 2, 2.937 Å, 2θ 30.44, intensity 35
- hkl -3 1 3, 2.850 Å, 2θ 31.39, intensity 29
- hkl 2 4 2, 1.730 Å, 2θ 52.93, intensity 24
- hkl 1 2 1, 3.460 Å, 2θ 25.75, intensity 22
- hkl 1 -1 3, 3.156 Å, 2θ 28.28, intensity 22

----------

# 1
Theoretical X-ray powder pattern
Compound: GeH6CN3F3
Radiation: Cu Kα (λ = 1.5418 Å)
Structure: a DFT-relaxed cell (PBE, Alexandria)
Lines closer than 0.1° are merged.

Peak list (8 most intense, 10° ≤ 2θ ≤ 80°, most intense first)
-- stop --

Response =
The following is a simulated PXRD pattern of Rb4B9Se9. It was derived from a PBE-relaxed structure, using CuKα.